How A Conservative Catholic Girl Became A Producer On A Gay Web Series

I write this blog with some hesitation because it feels as if I am straddling some sort of battle line and I risk upsetting my comrades on both sides.

That being said, let me tell you my story.

I was born in Cleveland, Ohio to parents who were both wonderfully Catholic and wonderfully Ohioan. Both live no more than a 30-minute car ride away from their childhood homes. I spent 13 years attending Catholic school, 4 years volunteering, and at times running, the Catholic community at my college, and 24 and a half years never missing a Sunday mass.

I was, and to some still am, the good little Midwestern Catholic girl. But to my parents, I lost that title when they learned of my involvement on EastSiders: The Series.

We were a strict, but not suffocating, Catholic family.

Whenever the church said something was one way, that’s the way it was, no questions. But the seeds of a black sheep mentality were planted in me even as early as high school. A lot of my good friends, despite being at a Catholic school, came out as gay. Luckily, the teachers that knew were supportive, as was I.

Secretly though, I still didn’t believe they should get married and I was uncomfortable around them because I believed most of the propaganda against gays. Part of me even thought it was just a phase they were going through. I even once got deeply offended when someone thought my best friend and I were lesbians.

In college, I befriended even more people who identified as gay, and it started to become difficult to justify my traditional Catholic beliefs on the subject to myself. In an effort to try and understand what internal moral battle I was waging, I made a project for my Nonfiction Film Production class discussing the Catholic view of homosexuality and how everyday Catholics and everyday gays felt about it. After that, I felt as if I had no reason to strongly believe anything one way or the other, and I adopted an “agnostic” sensibility when it came to gay issues.

Enter EastSiders.

When I learned about the opportunity to get involved with EastSiders, I was a new member of the film and television industry in Los Angeles looking to get any and all kinds of work I could get my hands on. Kit Williamson was a friend of mine who wanted to collaborate with me and give me a producer credit.

The fact that the story centered on a gay couple put me outside my comfort zone, but it was a great opportunity that I couldn’t turn down—I would be getting my first “producer” credit, which I thought would be the shining gem on my résumé. Even still, I was hesitant to say yes.

My father always encouraged me to stay true to my values no matter what opportunities presented themselves. He has this dream of me changing the raunchy “Sodom and Gomorrah” Hollywood into something society can believe in and trust again—like the good old days. My father’s voice was a constant resident in my thoughts, but I had loosened up a lot from my strict moral mentality since moving to LA a year prior, so I saw little harm in accepting the position.

But I was still in my “don’t ask, don’t tell” phase because I still wasn’t sure how I felt about issues of LGBT equality.

Once EastSiders production started, I was surprised to be shaken out of all my worries. All at once I was finally able to form some sort of opinion on the whole matter. It was during an average, ordinary shoot where I had an epiphany. I had recently gone through a breakup when production of the show began, and it all of a sudden struck me how strongly I related to the story of the show. I specifically remember shooting the conversation between Cal and Kathy in the first episode and thinking “I know exactly how Cal feels.”

It was through the story of EastSiders that I found what I truly believed about the LGBT community: If God is love, and if a person is compelled and inspired to love another person (no matter what genders are involved), then God is working in this world, and it is a beautiful thing.

I tell people that my favorite part about the message of EastSiders is that it normalizes gay relationships without sensationalizing the politics. The relationships just exist without any grandeur or attention to the fact that it’s a gay relationship.

The piece is interrupted by records of crystals:
........
First-principles (PBE) data for a geometry-optimized NaCNO2 structure, as listed in Materials Project.

Unit cell a=4.1768 b=10.1737 c=7.2946 alpha=90.00 beta=114.47 gamma=90.00
Closest atoms and distances in Å follow each position.
Space group P2_1/c (No. 14)
Symmetry-distinct sites (fractional):
Na1 0.1086 0.2308 0.4366 (multiplicity 4)  3 O 2.40-2.47, 2 N 2.46-2.52
C1 0.4075 0.5174 0.7534 (multiplicity 4)  2 O 1.24-1.36, 1 N 1.30
N1 0.2434 0.0935 0.1895 (multiplicity 4)  1 C 1.30
O1 0.3052 0.5567 0.2178 (multiplicity 4)  1 C 1.36
O2 0.3740 0.6355 0.7849 (multiplicity 4)  1 C 1.24

Values from the calculation:
The energy is -0.465 Ry per atom.
........

The show depicts a loving relationship, and it just happens to be between two men.

I’m proud this project has received the attention it has because it has been an important part of my career in the entertainment industry. Luckily, once people heard about us, it seemed our story struck a chord with others like it did with me, and we were able to tell our story to a wonderfully supportive audience. Our luck continued when we were picked up for distribution by and received multiple awards and nominations.

Little did I know that in saying yes to produce EastSiders I would become a semi-celebrity in LGBT media. And even though I am very proud of the series and what it represents, I was definitely not prepared for this spotlight.

The truth is that I am afraid of how my friends and family will respond to my involvement with Eastsiders, and I am still figuring it out.

I don’t discuss it with my family because I know they don’t really want to acknowledge my involvement. I know my Catholic/Christian friends would frown at me and think I’m living a life of sin, and I know my more liberal friends would tease me for believing in archaic teachings and practices.

== Attached: materials data ==
DFT (PBE) results for a relaxed Na10Ti4Al4Si7S5O48 crystal.

a = 17.5066 Å, b = 8.7473 Å, c = 21.9476 Å
α = 89.82°, β = 90.01°, γ = 119.89°
Fractional coordinates of all 234 atoms:
Na 0.1841 0.3699 0.2446
Na 0.6842 0.3705 0.2451
Na 0.9960 0.6313 0.2523
Na 0.4963 0.6311 0.2522
Na 0.4961 0.3594 0.7550
Na 0.1838 0.9979 0.7473
Na 0.6851 0.9987 0.7466
Na 0.6538 0.3359 0.5817
Na 0.0182 0.7044 0.5802
Na 0.8302 0.9639 0.5877
Na 0.4866 0.6661 0.9150
Na 0.9878 0.6687 0.9143
Na 0.8521 0.0364 0.9110
Na 0.1621 0.2978 0.9201
Na 0.4874 0.3094 0.4143
Na 0.9854 0.3060 0.4140
Na 0.3531 0.6681 0.4108
Na 0.8525 0.6677 0.4126
Na 0.0140 0.0068 0.4984
Na 0.5086 0.9927 0.4979
Na 0.0072 0.0106 0.0014
Na 0.5076 0.0238 0.9972
Na 0.3375 0.3289 0.8323
Na 0.8396 0.3393 0.8280
Na 0.3336 0.3289 0.3301
Na 0.8329 0.3278 0.3315
Na 0.1730 0.6672 0.1615
Na 0.6729 0.6676 0.1618
Na 0.1729 0.6694 0.6673
Na 0.6711 0.6784 0.6656
Ti 0.9984 0.9823 0.6475
Ti 0.4953 0.9782 0.6481
Ti 0.9999 0.0173 0.1455
Ti 0.4994 0.0161 0.1454
Ti 0.3281 0.3136 0.9779
Ti 0.8221 0.3182 0.9789
Ti 0.3249 0.3311 0.4781
Ti 0.8262 0.3432 0.4798
Ti 0.1624 0.6433 0.3118
Ti 0.6620 0.6441 0.3123
Ti 0.1596 0.6773 0.8117
Ti 0.6636 0.6828 0.8129
Al 0.0019 0.9982 0.3527
Al 0.5034 0.9986 0.3522
Al 0.9998 0.0010 0.8514
Al 0.4979 0.0032 0.8547
Al 0.3332 0.3208 0.6889
Al 0.8334 0.3304 0.6873
Al 0.3359 0.3508 0.1859
Al 0.8357 0.3507 0.1862
Al 0.1589 0.6451 0.0179
Al 0.6557 0.6433 0.0183
Al 0.1627 0.6733 0.5168
Al 0.6617 0.6672 0.5207
Si 0.3574 0.7186 0.2509
Si 0.8572 0.7186 0.2508
Si 0.9903 0.2774 0.2520
Si 0.4904 0.2776 0.2520
Si 0.9907 0.6981 0.7530
Si 0.4909 0.7019 0.7533
Si 0.3559 0.9953 0.7519
Si 0.8580 0.0050 0.7516
Si 0.1917 0.0396 0.5864
Si 0.6868 0.0381 0.5856
Si 0.8291 0.6190 0.5856
Si 0.1909 0.3435 0.0847
Si 0.6888 0.3435 0.0865
Si 0.0213 0.3711 0.9172
Si 0.5227 0.3675 0.9167
Si 0.1639 0.9485 0.9198
Si 0.6609 0.9502 0.9211
Si 0.1612 0.3715 0.4203
Si 0.6609 0.3671 0.4197
Si 0.0234 0.6760 0.4172
Si 0.5253 0.6774 0.4184
S 0.1464 0.0025 0.2498
S 0.6464 0.0024 0.2495
S 0.1458 0.2918 0.7497
S 0.6453 0.2885 0.7501
S 0.4771 0.3343 0.5839
S 0.9808 0.3366 0.5829
S 0.3299 0.6180 0.5837
S 0.4795 0.6241 0.0834
S 0.9794 0.6233 0.0831
S 0.3302 0.0428 0.0849
S 0.8302 0.0431 0.0841
S 0.3106 0.6723 0.9178
S 0.8091 0.6655 0.9181
S 0.3090 0.9532 0.4176
S 0.8097 0.9543 0.4173
O 0.1066 0.0376 0.3046
O 0.6067 0.0378 0.3045
O 0.4197 0.8013 0.3107
O 0.9199 0.8010 0.3104
O 0.4829 0.1658 0.3125
O 0.9834 0.1665 0.3126
O 0.1077 0.1804 0.8057
O 0.6041 0.1734 0.8036
O 0.4832 0.7998 0.8127
O 0.9857 0.8013 0.8125
O 0.4245 0.0431 0.8068
O 0.9163 0.0301 0.8118
O 0.4058 0.9745 0.6902
O 0.9048 0.9776 0.6898
O 0.0902 0.2082 0.6956
O 0.5904 0.2131 0.6936
O 0.0175 0.8308 0.6918
O 0.5184 0.8362 0.6931
O 0.4080 0.8402 0.1912
O 0.9083 0.8408 0.1911
O 0.0198 0.2008 0.1933
O 0.5195 0.2000 0.1933
O 0.0894 0.9673 0.1954
O 0.5893 0.9674 0.1954
O 0.4355 0.3596 0.6388
O 0.9385 0.3670 0.6362
O 0.2505 0.1402 0.6450
O 0.7496 0.1288 0.6445
O 0.3201 0.5094 0.6373

In all honestly, you can call me a “pick and choose” Catholic—there are many teachings I believe in and there are many teachings that I don’t based on my experiences and my will to love everyone—but I know deep down that I am still a Catholic, nothing more or less.

I don’t believe Jesus would treat the LGBT community with the harsh treatment the Church doles out today. I think He would be ashamed of how we make people feel slighted, marginalized, and less than human simply for loving a person the Church doesn’t want them to love. I receive the Eucharist every Sunday, which is the body and blood of Christ, and therefore I am tasked with the responsibility of carrying Jesus into this world.

I think I’m very much fulfilling my dad’s dream of changing Hollywood, just not in the way he expected.

I am proud to be a Catholic producer on a gay web series. I believe in making people feel important, cared for, and loved through my work, and I think EastSiders is a special way for me to do that for the LGBT community of our world.

To support “EastSiders: The Series,” click here.

Adapted from original post on Ms. In The Biz; Photo via Eastsiders: The Series
